### Wanted
Transcribe the whole of the contents further below verbatim.
### Input
+++
# Li5Fe5Si7O24 | Materials Project | PBE with a Hubbard U | optimized geometry
data_Li5Fe5Si7O24
_chemical_formula_sum 'Li5 Fe5 Si7 O24'
_cell_length_a 7.8487
_cell_length_b 7.9770
_cell_length_c 9.3185
_cell_angle_alpha 89.67
_cell_angle_beta 89.96
_cell_angle_gamma 89.66
_symmetry_space_group_name_H-M 'P 1'
_symmetry_Int_Tables_number 1
_symmetry_space_group_name_Hall 'P 1'
loop_
_atom_site_label
_atom_site_fract_x
_atom_site_fract_y
_atom_site_fract_z
Li1 0.0000 0.0000 0.0000
Li2 0.0577 0.5787 0.7413
Li3 0.2943 0.2559 0.2755
Li4 0.5126 0.5017 0.2442
Li5 0.7839 0.2403 0.9614
Fe1 0.1745 0.4347 0.5016
Fe2 0.3812 0.1789 0.9926
Fe3 0.6707 0.0662 0.7257
Fe4 0.8721 0.3235 0.2543
Fe5 0.9275 0.6166 0.9981
Si1 0.0896 0.1296 0.7356
Si2 0.1247 0.8475 0.4841
Si3 0.3518 0.5898 0.0031
Si4 0.4234 0.8799 0.2461
Si5 0.5881 0.3832 0.5032
Si6 0.6346 0.6584 0.7525
Si7 0.8270 0.9127 0.2491
O1 0.0839 0.3442 0.3366
O2 0.1171 0.3218 0.6754
O3 0.1208 0.6598 0.5558
O4 0.1316 0.9926 0.6080
O5 0.1624 0.6226 0.9366
O6 0.2011 0.0939 0.8826
O7 0.2985 0.8570 0.3852
O8 0.3675 0.0563 0.1708
O9 0.3721 0.4022 0.0787
O10 0.3975 0.3922 0.4269
O11 0.3984 0.7126 0.1427
O12 0.4968 0.6175 0.8818
O13 0.5802 0.1550 0.8973
O14 0.5951 0.5286 0.6235
O15 0.6120 0.8469 0.6942
O16 0.6266 0.8743 0.2914
O17 0.6331 0.2005 0.5653
O18 0.7051 0.4328 0.3632
O19 0.8295 0.6250 0.8121
O20 0.8435 0.4217 0.0725
O21 0.8510 0.1016 0.1821
O22 0.8957 0.8041 0.1119
O23 0.8984 0.1004 0.8042
O24 0.9507 0.8790 0.3882
# Calculated total energy, eV/cell: -286.349
# Offset from the most stable computed form, eV per formula unit: 0.00
# Formation energy from the elements, eV per atom: -2.573
# E (MP2020), eV/atom: -7.66

=====

MgTl4Ni4O12: optimized geometry, GGA+U.

Computed properties:
Final energy   -4.677 eV per atom
Calculated formation energy   -106.1 kJ/mol of atoms
Magnetization   6.0 μB/f.u.
ΔE to the lowest computed polymorph   0 meV per atom

a b c (Å): 5.3502 5.5959 8.6924
angles (deg): 82.65 87.46 87.72
Closest atoms and distances in Å follow each position.
Fractional positions:
Mg (0.0000, 0.0000, 0.0000)  5 O 1.99-2.08
Tl (0.0070, 0.8553, 0.3678)  3 O 2.16-2.24
Tl (0.0196, 0.6576, 0.7932)  6 O 2.19-2.44
Tl (0.5131, 0.1963, 0.8126)  5 O 2.18-2.44
Tl (0.5489, 0.3413, 0.3590)  3 O 2.15-2.25
Ni (0.0328, 0.2662, 0.5927)  6 O 2.03-2.20
Ni (0.0576, 0.3853, 0.1473)  5 O 1.90-2.08
Ni (0.5187, 0.7794, 0.5793)  5 O 1.95-2.07
Ni (0.5211, 0.8443, 0.1281)  6 O 2.06-2.28
O (0.1580, 0.2642, 0.3690)  2 Ni 2.03-2.05, 1 Tl 2.15
O (0.2023, 0.6760, 0.0435)  1 Ni 1.93, 1 Mg 2.08
O (0.2460, 0.9635, 0.6714)  2 Ni 1.95-2.06
O (0.3097, 0.1585, 0.0531)  1 Mg 2.01, 2 Ni 2.03-2.10
O (0.3416, 0.4817, 0.6525)  2 Ni 1.97-2.20, 1 Tl 2.18
O (0.4041, 0.7655, 0.3570)  2 Ni 2.06-2.07, 1 Tl 2.16
O (0.6985, 0.8513, 0.9122)  1 Ni 2.06, 1 Mg 2.06, 2 Tl 2.23-2.28
O (0.7197, 0.0717, 0.5420)  2 Ni 1.98-2.13
O (0.7899, 0.5884, 0.2108)  2 Ni 1.90-2.07
O (0.8139, 0.1020, 0.1852)  1 Mg 1.99, 1 Ni 2.08
O (0.8313, 0.5952, 0.5543)  2 Ni 1.95-2.09
O (0.9220, 0.2779, 0.8239)  1 Ni 2.08, 1 Mg 2.08, 2 Tl 2.19-2.26

=====

A relaxed structure of KMo12S14, computed with PBE-GGA.

a = 9.280 Å, b = 9.280 Å, c = 16.482 Å
α = 90.00°, β = 90.00°, γ = 120.00°
Fractional coordinates of all 54 atoms:
K (0.333, 0.667, 0.250)
K (0.667, 0.333, 0.750)
Mo (0.158, 0.505, 0.542)
Mo (0.158, 0.653, 0.958)
Mo (0.166, 0.497, 0.816)
Mo (0.166, 0.669, 0.684)
Mo (0.331, 0.497, 0.684)
Mo (0.331, 0.834, 0.816)
Mo (0.347, 0.505, 0.958)
Mo (0.347, 0.842, 0.542)
Mo (0.495, 0.653, 0.542)
Mo (0.495, 0.842, 0.958)
Mo (0.497, 0.166, 0.316)
Mo (0.497, 0.331, 0.184)
Mo (0.503, 0.669, 0.816)
Mo (0.503, 0.834, 0.684)
Mo (0.505, 0.158, 0.042)
Mo (0.505, 0.347, 0.458)
Mo (0.653, 0.158, 0.458)
Mo (0.653, 0.495, 0.042)
Mo (0.669, 0.166, 0.184)
Mo (0.669, 0.503, 0.316)
Mo (0.834, 0.331, 0.316)
Mo (0.834, 0.503, 0.184)
Mo (0.842, 0.347, 0.042)
Mo (0.842, 0.495, 0.458)
S (0.023, 0.362, 0.681)
S (0.023, 0.661, 0.819)
S (0.042, 0.352, 0.943)
S (0.042, 0.691, 0.557)
+++
### Done
# Li5Fe5Si7O24 | Materials Project | PBE with a Hubbard U | optimized geometry
data_Li5Fe5Si7O24
_chemical_formula_sum 'Li5 Fe5 Si7 O24'
_cell_length_a 7.8487
_cell_length_b 7.9770
_cell_length_c 9.3185
_cell_angle_alpha 89.67
_cell_angle_beta 89.96
_cell_angle_gamma 89.66
_symmetry_space_group_name_H-M 'P 1'
_symmetry_Int_Tables_number 1
_symmetry_space_group_name_Hall 'P 1'
loop_
_atom_site_label
_atom_site_fract_x
_atom_site_fract_y
_atom_site_fract_z
Li1 0.0000 0.0000 0.0000
Li2 0.0577 0.5787 0.7413
Li3 0.2943 0.2559 0.2755
Li4 0.5126 0.5017 0.2442
Li5 0.7839 0.2403 0.9614
Fe1 0.1745 0.4347 0.5016
Fe2 0.3812 0.1789 0.9926
Fe3 0.6707 0.0662 0.7257
Fe4 0.8721 0.3235 0.2543
Fe5 0.9275 0.6166 0.9981
Si1 0.0896 0.1296 0.7356
Si2 0.1247 0.8475 0.4841
Si3 0.3518 0.5898 0.0031
Si4 0.4234 0.8799 0.2461
Si5 0.5881 0.3832 0.5032
Si6 0.6346 0.6584 0.7525
Si7 0.8270 0.9127 0.2491
O1 0.0839 0.3442 0.3366
O2 0.1171 0.3218 0.6754
O3 0.1208 0.6598 0.5558
O4 0.1316 0.9926 0.6080
O5 0.1624 0.6226 0.9366
O6 0.2011 0.0939 0.8826
O7 0.2985 0.8570 0.3852
O8 0.3675 0.0563 0.1708
O9 0.3721 0.4022 0.0787
O10 0.3975 0.3922 0.4269
O11 0.3984 0.7126 0.1427
O12 0.4968 0.6175 0.8818
O13 0.5802 0.1550 0.8973
O14 0.5951 0.5286 0.6235
O15 0.6120 0.8469 0.6942
O16 0.6266 0.8743 0.2914
O17 0.6331 0.2005 0.5653
O18 0.7051 0.4328 0.3632
O19 0.8295 0.6250 0.8121
O20 0.8435 0.4217 0.0725
O21 0.8510 0.1016 0.1821
O22 0.8957 0.8041 0.1119
O23 0.8984 0.1004 0.8042
O24 0.9507 0.8790 0.3882
# Calculated total energy, eV/cell: -286.349
# Offset from the most stable computed form, eV per formula unit: 0.00
# Formation energy from the elements, eV per atom: -2.573
# E (MP2020), eV/atom: -7.66

=====

MgTl4Ni4O12: optimized geometry, GGA+U.

Computed properties:
Final energy   -4.677 eV per atom
Calculated formation energy   -106.1 kJ/mol of atoms
Magnetization   6.0 μB/f.u.
ΔE to the lowest computed polymorph   0 meV per atom

a b c (Å): 5.3502 5.5959 8.6924
angles (deg): 82.65 87.46 87.72
Closest atoms and distances in Å follow each position.
Fractional positions:
Mg (0.0000, 0.0000, 0.0000)  5 O 1.99-2.08
Tl (0.0070, 0.8553, 0.3678)  3 O 2.16-2.24
Tl (0.0196, 0.6576, 0.7932)  6 O 2.19-2.44
Tl (0.5131, 0.1963, 0.8126)  5 O 2.18-2.44
Tl (0.5489, 0.3413, 0.3590)  3 O 2.15-2.25
Ni (0.0328, 0.2662, 0.5927)  6 O 2.03-2.20
Ni (0.0576, 0.3853, 0.1473)  5 O 1.90-2.08
Ni (0.5187, 0.7794, 0.5793)  5 O 1.95-2.07
Ni (0.5211, 0.8443, 0.1281)  6 O 2.06-2.28
O (0.1580, 0.2642, 0.3690)  2 Ni 2.03-2.05, 1 Tl 2.15
O (0.2023, 0.6760, 0.0435)  1 Ni 1.93, 1 Mg 2.08
O (0.2460, 0.9635, 0.6714)  2 Ni 1.95-2.06
O (0.3097, 0.1585, 0.0531)  1 Mg 2.01, 2 Ni 2.03-2.10
O (0.3416, 0.4817, 0.6525)  2 Ni 1.97-2.20, 1 Tl 2.18
O (0.4041, 0.7655, 0.3570)  2 Ni 2.06-2.07, 1 Tl 2.16
O (0.6985, 0.8513, 0.9122)  1 Ni 2.06, 1 Mg 2.06, 2 Tl 2.23-2.28
O (0.7197, 0.0717, 0.5420)  2 Ni 1.98-2.13
O (0.7899, 0.5884, 0.2108)  2 Ni 1.90-2.07
O (0.8139, 0.1020, 0.1852)  1 Mg 1.99, 1 Ni 2.08
O (0.8313, 0.5952, 0.5543)  2 Ni 1.95-2.09
O (0.9220, 0.2779, 0.8239)  1 Ni 2.08, 1 Mg 2.08, 2 Tl 2.19-2.26

=====

A relaxed structure of KMo12S14, computed with PBE-GGA.

a = 9.280 Å, b = 9.280 Å, c = 16.482 Å
α = 90.00°, β = 90.00°, γ = 120.00°
Fractional coordinates of all 54 atoms:
K (0.333, 0.667, 0.250)
K (0.667, 0.333, 0.750)
Mo (0.158, 0.505, 0.542)
Mo (0.158, 0.653, 0.958)
Mo (0.166, 0.497, 0.816)
Mo (0.166, 0.669, 0.684)
Mo (0.331, 0.497, 0.684)
Mo (0.331, 0.834, 0.816)
Mo (0.347, 0.505, 0.958)
Mo (0.347, 0.842, 0.542)
Mo (0.495, 0.653, 0.542)
Mo (0.495, 0.842, 0.958)
Mo (0.497, 0.166, 0.316)
Mo (0.497, 0.331, 0.184)
Mo (0.503, 0.669, 0.816)
Mo (0.503, 0.834, 0.684)
Mo (0.505, 0.158, 0.042)
Mo (0.505, 0.347, 0.458)
Mo (0.653, 0.158, 0.458)
Mo (0.653, 0.495, 0.042)
Mo (0.669, 0.166, 0.184)
Mo (0.669, 0.503, 0.316)
Mo (0.834, 0.331, 0.316)
Mo (0.834, 0.503, 0.184)
Mo (0.842, 0.347, 0.042)
Mo (0.842, 0.495, 0.458)
S (0.023, 0.362, 0.681)
S (0.023, 0.661, 0.819)
S (0.042, 0.352, 0.943)
S (0.042, 0.691, 0.557)